Oh dear me, three months since I've written?
Truly it has flown by and I find myself in so very different a season.
Hello Spring!
Nollie's 2nd birthday is right around the corner
and sweet Knox at four months old is just
barely becoming a heavy, one-armed hip baby.
Thank goodness for that, my poor aching back.
I survive on their regular nap schedules and early bedtimes.
[Someone pasted crystal structures at this point]
Material: HoTm3Lu2Sb2Os
Method: DFT, PBE-GGA
State: relaxed

Structure (POSCAR):
```
HoTm3Lu2Sb2Os
1.0
-1.1244 -3.2485 2.3741
4.5587 -4.8768 -4.5138
3.1866 3.6166 6.4579
Ho Lu Os Sb Tm
1 2 1 2 3
direct
0.0000 0.6094 0.6094
0.0000 0.9990 0.3866
0.0000 0.3866 0.9990
0.0000 0.0048 0.0048
0.5000 0.6663 0.3318
0.5000 0.3318 0.6663
0.5000 0.7632 0.0001
0.5000 0.2388 0.2388
0.5000 0.0001 0.7632
```

Its space-group type is No. 38. Its final energy is -5.84 eV/atom. The total magnetization comes out at 0.02 μB per formula unit.



Material: Y2Ho3LuSb2Os
Method: DFT, PBE-GGA
State: relaxed

Structure (POSCAR):
```
Y2Ho3LuSb2Os
1.0
-1.4804 3.0600 -2.4607
-4.8131 -5.3886 -3.8052
-2.6866 4.0012 6.5921
Ho Lu Os Sb Y
3 1 1 2 2
direct
0.5000 0.2383 0.0000
0.5000 0.0000 0.2383
0.5000 0.7648 0.7648
0.0000 0.3870 0.3870
0.0000 0.0092 0.0092
0.5000 0.6648 0.3329
0.5000 0.3329 0.6648
0.0000 0.9987 0.6043
0.0000 0.6043 0.9987
```

Its space-group type is No. 38. Its final energy is -6.30 eV/atom. The total magnetization comes out at 0.02 μB per formula unit.



Material: Ho2Lu3ScTe2Os
Method: DFT, PBE-GGA
State: relaxed

Structure (POSCAR):
```
Ho2Lu3ScTe2Os
1.0
3.9856 0.0000 0.0000
0.0000 7.0264 4.0588
0.0000 -7.0264 4.0588
Ho Lu Os Sc Te
2 3 1 1 2
direct
0.0000 0.9997 0.3874
0.0000 0.3874 0.9997
0.5000 0.2389 0.2389
0.5000 0.9955 0.7597
0.5000 0.7597 0.9955
0.0000 0.9983 0.9983
0.0000 0.6172 0.6172
0.5000 0.6655 0.3377
0.5000 0.3377 0.6655
```

Its space-group type is No. 38. Its final energy is -5.88 eV/atom. The total magnetization comes out at 0.00 μB per formula unit.



Material: Ho3Lu3Te2Os
Method: DFT, PBE-GGA
State: relaxed

Structure (POSCAR):
```
Ho3Lu3Te2Os
1.0
-1.2246 -6.1632 5.2776
7.4330 1.1880 -3.2674
0.9550 2.4260 3.0547
Ho Lu Os Te
3 3 1 2
direct
0.2427 0.0000 0.5000
0.0000 0.2427 0.5000
0.7573 0.7573 0.5000
0.6168 0.0000 0.0000
0.3832 0.3832 0.0000
0.0000 0.6168 0.0000
0.0000 0.0000 0.0000
0.6667 0.3333 0.5000
0.3333 0.6667 0.5000
```

Its space-group type is No. 189. Its final energy is -5.65 eV/atom. For the distance to the lowest polymorph of the same formula, the calculation gives 70 meV/atom. The total magnetization comes out at 0.02 μB per formula unit.



Material: Ho3Lu3Te2Os
Method: DFT, PBE-GGA
State: relaxed
And although I've been without caffeine for over 6 weeks
I've now committed to dairy free for the sake of my laundry
and Knox's worsening reflux lately.
All very much worth it and leaving me guiltless
from those (well earned) latte and ice cream runs that turned into
projectile vomiting and acidic spit-up stains on all our clothes.
At least he is a happy spitter!
The happiest baby indeed.
How could I love you more my boy
You simply enthrall me!
I started working again.
Only a few shifts a month and
surprisingly it has been good for my soul.
How much better a nurse I am now being a mother.
Six years this June and I don't regret my choice
(God's choice) for one second!
How often I am reminded that He knows what He's doing!
Oh trust Him.
I flew home a couple weeks ago
by myself with both babes.
And all I want to re-hash on traveling like that
is that I hope I forget how crazy hard it was
cause I'm most likely going to do it again.
Lord, help me.
But it was SUCH a blessing being home!
I hadn't been there in almost a year and it was
Knox's first time meeting all my siblings,
their sweet sweet children, my dear grandparents,
and a few of my many aunts, uncles and cousins.
And as sweet as that was, it was even more precious
to watch Nollie get to KNOW them and form bonds that
I pray she will carry with her always.
Always knowing that she is loved
by her family far away.
How fun it will be to watch these little cousins grow up together!
She being the youngest of the first four girls
and Knox being the youngest of the first four boys.
And three more babies on the way!
We can hardly wait to meet you!
My mom and dad spoil me when I'm home
and find it hard to share me with the rest of the fam.
But it's never going to be easy or fair and
no longer quite as restful with babies in the mix
and that's okay.
My heart is to reconnect
to savor the face-to-face
and physically embrace each person
that I've missed so long between these visits.
I promise I love each of you and I think about you
every. single. day.
But this is my home.
These are my day-to-days.
And my love grows more and more for
this misty, evergreen land and yes,
even the rain.
Nollie certainly knows and loves her family here
talking and asking about each one daily.
She gave squeals of delight
when we walked over to Nana and Papa's unannounced this afternoon
just to say hi and clutter up their living room with all the stashed toys
she just had to bring out one by one until the room was full.
She has them wrapped around her finger tight!
And my are we falling head over heels for her every day.
The things she says!
New today: "Mmm, de-leesh-ee!" (delicious)
And our favorite lately: "Hold you, Mama, hold you, Dada"
Yeah, girl, your Mama and Daddy are never letting you go!
Our joy is so tangible in this season.
I can't stand it that I won't always be able to carry her
with arms and legs wrapped around me,
head resting on my shoulder,
and her hand patting my back
as if I'm the one in need of comforting!
Yes, darling, I am!
And how can I begin to fathom
that my soft, squishy, wobbly baby love
will be running around in no time?!?
I just won't have it!
Not now.
Not while I can hold them as long as I could possibly ever want to.